********
No. 1
DFT (SCAN) results for a PBEsol-optimized structure of BaBeRh2.

abc: 3.936 3.936 8.894
angles: 90.00 90.00 90.00
Space group I-4m2 (No. 119)
Asymmetric unit:
Ba 0.000 0.000 0.000 (multiplicity 2)
Be 0.000 0.500 0.250 (multiplicity 2)
Rh 0.000 0.000 0.500 (multiplicity 2)
Rh 0.000 0.500 0.750 (multiplicity 2)

crystal system = tetragonal
energy of formation from the pure elements = 0.58 eV per atom

No. 2
DFT (SCAN) results for a PBEsol-optimized structure of LiTiP4O12.

abc: 17.216 12.291 5.271
angles: 90.00 101.93 90.00
Space group C2/m (No. 12)
Asymmetric unit:
Li 0.091 0.000 0.015 (multiplicity 4)
Ti 0.250 0.250 0.500 (multiplicity 4)
P 0.078 0.214 0.670 (multiplicity 8)
P 0.184 0.380 0.962 (multiplicity 8)
O 0.000 0.269 0.500 (multiplicity 4)
O 0.059 0.119 0.815 (multiplicity 8)
O 0.104 0.315 0.868 (multiplicity 8)
O 0.139 0.203 0.501 (multiplicity 8)
O 0.151 0.500 0.889 (multiplicity 4)
O 0.209 0.372 0.252 (multiplicity 8)
O 0.245 0.351 0.807 (multiplicity 8)

ΔE_f (raw) = -2.5135 eV per atom
crystal system = monoclinic

No. 3
DFT (SCAN) results for a PBEsol-optimized structure of YNiSe.

abc: 6.202 6.202 6.202
angles: 90.00 90.00 90.00
Space group F-43m (No. 216)
Asymmetric unit:
Y 0.000 0.000 0.000 (multiplicity 4)
Ni 0.000 0.000 0.500 (multiplicity 4)
Se 0.250 0.250 0.750 (multiplicity 4)

ΔE_f (raw) = -0.4813 eV per atom
crystal system = cubic

No. 4
DFT (SCAN) results for a PBEsol-optimized structure of Ti2BiNF.

abc: 5.289 5.289 4.325
angles: 90.00 90.00 90.00
Space group P4/mmm (No. 123)
Asymmetric unit:
Ti 0.000 0.500 0.000 (multiplicity 2)
Bi 0.000 0.000 0.000 (multiplicity 1)
N 0.500 0.500 0.500 (multiplicity 1)
F 0.000 0.000 0.500 (multiplicity 1)

ΔE_f (raw) = 1.0890 eV per atom
crystal system = tetragonal

No. 5
DFT (SCAN) results for a PBEsol-optimized structure of Mn8As.

abc: 7.421 7.421 3.499
angles: 90.00 90.00 90.00
Space group I4/mmm (No. 139)
Asymmetric unit:
Mn 0.000 0.344 0.000 (multiplicity 8)
Mn 0.176 0.176 0.500 (multiplicity 8)
As 0.000 0.000 0.000 (multiplicity 2)

crystal system = tetragonal
energy of formation from the pure elements = 0.06 eV per atom

No. 6
DFT (SCAN) results for a PBEsol-optimized structure of CuIr3W.

abc: 4.672 4.672 4.672
angles: 90.00 90.00 90.00
Space group Pm-3m (No. 221)
Asymmetric unit:
Cu 0.000 0.000 0.000 (multiplicity 1)
Ir 0.000 0.500 0.500 (multiplicity 3)
W 0.500 0.500 0.500 (multiplicity 1)

crystal system = cubic
energy of formation from the pure elements = 1.92 eV per atom

No. 7
DFT (SCAN) results for a PBEsol-optimized structure of FeSi2Mo.

abc: 4.088 4.088 2.915
angles: 90.00 90.00 90.00
Space group P4/mmm (No. 123)
Asymmetric unit:
Fe 0.000 0.000 0.000 (multiplicity 1)
Si 0.000 0.500 0.500 (multiplicity 2)
Mo 0.500 0.500 0.000 (multiplicity 1)

ΔE_f (raw) = -0.1049 eV per atom
crystal system = tetragonal

No. 8
DFT (SCAN) results for a PBEsol-optimized structure of Ta2IrBr.

abc: 3.824 3.824 9.277
angles: 90.00 90.00 90.00
Space group I-4m2 (No. 119)
Asymmetric unit:
Ta 0.000 0.000 0.000 (multiplicity 2)
Ta 0.000 0.500 0.250 (multiplicity 2)
Ir 0.000 0.500 0.750 (multiplicity 2)
Br 0.000 0.000 0.500 (multiplicity 2)

ΔE_f (raw) = 0.6999 eV per atom
crystal system = tetragonal

No. 9
DFT (SCAN) results for a PBEsol-optimized structure of BeBi2H2.

abc: 7.284 7.284 3.282
angles: 90.00 90.00 90.00
Space group P4/mbm (No. 127)
Asymmetric unit:
Be 0.000 0.000 0.000 (multiplicity 2)
Bi 0.246 0.254 0.000 (multiplicity 4)
H 0.038 0.462 0.500 (multiplicity 4)

crystal system = tetragonal

No. 10
DFT (SCAN) results for a PBEsol-optimized structure of Si5Hg4.

abc: 9.826 9.826 3.546
angles: 90.00 90.00 90.00
Space group I4/mmm (No. 139)
Asymmetric unit:
Si 0.000 0.000 0.000 (multiplicity 2)
Si 0.183 0.183 0.500 (multiplicity 8)
Hg 0.000 0.318 0.000 (multiplicity 8)

ΔE_f (raw) = 0.7292 eV per atom
crystal system = tetragonal

no.,total DFT energy (no corrections) (hartree per atom)
1,-1.003
2,-0.368
3,-0.803
4,-0.867
5,-0.677
6,-2.121
7,-0.675
8,-2.030
********

Give back everything further above character by character.

No. 1
DFT (SCAN) results for a PBEsol-optimized structure of BaBeRh2.

abc: 3.936 3.936 8.894
angles: 90.00 90.00 90.00
Space group I-4m2 (No. 119)
Asymmetric unit:
Ba 0.000 0.000 0.000 (multiplicity 2)
Be 0.000 0.500 0.250 (multiplicity 2)
Rh 0.000 0.000 0.500 (multiplicity 2)
Rh 0.000 0.500 0.750 (multiplicity 2)

crystal system = tetragonal
energy of formation from the pure elements = 0.58 eV per atom

No. 2
DFT (SCAN) results for a PBEsol-optimized structure of LiTiP4O12.

abc: 17.216 12.291 5.271
angles: 90.00 101.93 90.00
Space group C2/m (No. 12)
Asymmetric unit:
Li 0.091 0.000 0.015 (multiplicity 4)
Ti 0.250 0.250 0.500 (multiplicity 4)
P 0.078 0.214 0.670 (multiplicity 8)
P 0.184 0.380 0.962 (multiplicity 8)
O 0.000 0.269 0.500 (multiplicity 4)
O 0.059 0.119 0.815 (multiplicity 8)
O 0.104 0.315 0.868 (multiplicity 8)
O 0.139 0.203 0.501 (multiplicity 8)
O 0.151 0.500 0.889 (multiplicity 4)
O 0.209 0.372 0.252 (multiplicity 8)
O 0.245 0.351 0.807 (multiplicity 8)

ΔE_f (raw) = -2.5135 eV per atom
crystal system = monoclinic

No. 3
DFT (SCAN) results for a PBEsol-optimized structure of YNiSe.

abc: 6.202 6.202 6.202
angles: 90.00 90.00 90.00
Space group F-43m (No. 216)
Asymmetric unit:
Y 0.000 0.000 0.000 (multiplicity 4)
Ni 0.000 0.000 0.500 (multiplicity 4)
Se 0.250 0.250 0.750 (multiplicity 4)

ΔE_f (raw) = -0.4813 eV per atom
crystal system = cubic

No. 4
DFT (SCAN) results for a PBEsol-optimized structure of Ti2BiNF.

abc: 5.289 5.289 4.325
angles: 90.00 90.00 90.00
Space group P4/mmm (No. 123)
Asymmetric unit:
Ti 0.000 0.500 0.000 (multiplicity 2)
Bi 0.000 0.000 0.000 (multiplicity 1)
N 0.500 0.500 0.500 (multiplicity 1)
F 0.000 0.000 0.500 (multiplicity 1)

ΔE_f (raw) = 1.0890 eV per atom
crystal system = tetragonal

No. 5
DFT (SCAN) results for a PBEsol-optimized structure of Mn8As.

abc: 7.421 7.421 3.499
angles: 90.00 90.00 90.00
Space group I4/mmm (No. 139)
Asymmetric unit:
Mn 0.000 0.344 0.000 (multiplicity 8)
Mn 0.176 0.176 0.500 (multiplicity 8)
As 0.000 0.000 0.000 (multiplicity 2)

crystal system = tetragonal
energy of formation from the pure elements = 0.06 eV per atom

No. 6
DFT (SCAN) results for a PBEsol-optimized structure of CuIr3W.

abc: 4.672 4.672 4.672
angles: 90.00 90.00 90.00
Space group Pm-3m (No. 221)
Asymmetric unit:
Cu 0.000 0.000 0.000 (multiplicity 1)
Ir 0.000 0.500 0.500 (multiplicity 3)
W 0.500 0.500 0.500 (multiplicity 1)

crystal system = cubic
energy of formation from the pure elements = 1.92 eV per atom

No. 7
DFT (SCAN) results for a PBEsol-optimized structure of FeSi2Mo.

abc: 4.088 4.088 2.915
angles: 90.00 90.00 90.00
Space group P4/mmm (No. 123)
Asymmetric unit:
Fe 0.000 0.000 0.000 (multiplicity 1)
Si 0.000 0.500 0.500 (multiplicity 2)
Mo 0.500 0.500 0.000 (multiplicity 1)

ΔE_f (raw) = -0.1049 eV per atom
crystal system = tetragonal

No. 8
DFT (SCAN) results for a PBEsol-optimized structure of Ta2IrBr.

abc: 3.824 3.824 9.277
angles: 90.00 90.00 90.00
Space group I-4m2 (No. 119)
Asymmetric unit:
Ta 0.000 0.000 0.000 (multiplicity 2)
Ta 0.000 0.500 0.250 (multiplicity 2)
Ir 0.000 0.500 0.750 (multiplicity 2)
Br 0.000 0.000 0.500 (multiplicity 2)

ΔE_f (raw) = 0.6999 eV per atom
crystal system = tetragonal

No. 9
DFT (SCAN) results for a PBEsol-optimized structure of BeBi2H2.

abc: 7.284 7.284 3.282
angles: 90.00 90.00 90.00
Space group P4/mbm (No. 127)
Asymmetric unit:
Be 0.000 0.000 0.000 (multiplicity 2)
Bi 0.246 0.254 0.000 (multiplicity 4)
H 0.038 0.462 0.500 (multiplicity 4)

crystal system = tetragonal

No. 10
DFT (SCAN) results for a PBEsol-optimized structure of Si5Hg4.

abc: 9.826 9.826 3.546
angles: 90.00 90.00 90.00
Space group I4/mmm (No. 139)
Asymmetric unit:
Si 0.000 0.000 0.000 (multiplicity 2)
Si 0.183 0.183 0.500 (multiplicity 8)
Hg 0.000 0.318 0.000 (multiplicity 8)

ΔE_f (raw) = 0.7292 eV per atom
crystal system = tetragonal

no.,total DFT energy (no corrections) (hartree per atom)
1,-1.003
2,-0.368
3,-0.803
4,-0.867
5,-0.677
6,-2.121
7,-0.675
8,-2.030